### File
=====
DFT (PBE-GGA) results for Ba3WN4 after structural relaxation.

```
64
Lattice="10.5626 0.0000 0.0000 0.0000 10.9831 0.0000 0.0000 0.0000 12.4222" Properties=species:S:1:pos:R:3 pbc="T T T"
Ba 9.2967 10.6409 1.7279
Ba 4.0154 0.3422 4.4832
Ba 6.5473 5.1494 10.6943
Ba 1.2660 5.8337 7.9390
Ba 1.2660 0.3422 10.6943
Ba 6.5473 10.6409 7.9390
Ba 4.0154 5.8337 1.7279
Ba 9.2967 5.1494 4.4832
Ba 7.4686 3.0516 1.5125
Ba 2.1873 7.9315 4.6986
Ba 8.3753 8.5431 10.9097
Ba 3.0940 2.4399 7.7236
Ba 3.0940 7.9315 10.9097
Ba 8.3753 3.0516 7.7236
Ba 2.1873 2.4399 1.5125
Ba 7.4686 8.5431 4.6986
Ba 5.6355 9.6113 1.3222
Ba 0.3542 6.8633 1.3222
Ba 10.2084 9.6113 7.5333
Ba 4.9271 1.3718 11.1000
Ba 4.9271 6.8633 7.5333
Ba 10.2084 4.1198 11.1000
Ba 0.3542 1.3718 4.8889
Ba 5.6355 4.1198 4.8889
W 7.4180 6.5337 1.4270
W 2.1367 4.4494 4.7841
W 8.4260 1.0421 10.9951
W 3.1447 9.9409 7.6381
W 3.1447 4.4494 10.9951
W 8.4260 6.5337 7.6381
W 2.1367 9.9409 1.4270
W 7.4180 1.0421 4.7841
N 8.3821 2.4766 3.9869
N 3.1008 8.5064 2.2242
N 7.4619 7.9682 8.4353
N 2.1806 3.0149 10.1980
N 2.1806 8.5064 8.4353
N 7.4619 2.4766 10.1980
N 3.1008 3.0149 3.9869
N 8.3821 7.9682 2.2242
N 8.5971 5.4131 0.4610
N 3.3158 5.5699 5.7501
N 7.2468 10.9047 11.9612
N 1.9655 0.0784 6.6721
N 1.9655 5.5699 11.9612
N 7.2468 5.4131 6.6721
N 3.3158 0.0784 0.4610
N 6.5866 10.9184 3.5070
N 6.0926 1.6743 5.9850
N 0.8112 9.3087 0.2261
N 9.7514 7.1659 6.4372
N 4.4701 3.8172 12.1960
N 4.4701 9.3087 6.4372
N 9.7514 1.6743 12.1960
N 0.8112 3.8172 5.9850
N 6.0926 7.1659 0.2261
N 6.5866 5.4269 2.7041
N 1.3053 5.5562 3.5070
N 9.2574 10.9184 9.7180
N 3.9761 0.0646 8.9152
N 3.9761 5.5562 9.7180
N 9.2574 5.4269 8.9152
N 1.3053 0.0646 2.7041
N 8.5971 10.9047 5.7501
```

Results
polymorph energy (0 for the lowest one): 0 meV/atom
corrected total energy (MP2020 scheme): -486.0 eV for the cell shown
formation enthalpy at 0 K: -1.085 eV/atom

~~~~~

Entry from the Materials Project: an optimized crystal structure of CdGeO3 (PBE). Values from VASP.

Summary:
The size of the total moment is 0.0 μB/f.u. Its formation energy is -1.769 eV per atom. The density comes out at 4.996 g cm⁻³. Its crystal system is orthorhombic. The largest piezoelectric modulus comes out at 75.0 C/m². As for the corrected total energy (MP2020 scheme): -58.5 eV/cell. The value obtained for the total energy is -5.435 eV/atom.

Geometry as Quantum ESPRESSO input:
```
&SYSTEM
  ibrav = 0, nat = 10, ntyp = 3
/
ATOMIC_SPECIES
Cd 112.41 Cd.upf
Ge 72.64 Ge.upf
O 16.00 O.upf
CELL_PARAMETERS angstrom
2.734 -5.420 0.000
2.734 5.420 0.000
0.000 0.000 5.228
ATOMIC_POSITIONS crystal
Cd 0.116 0.884 0.243
Cd 0.884 0.116 0.743
Ge 0.441 0.559 0.314
Ge 0.559 0.441 0.814
O 0.261 0.290 0.050
O 0.710 0.739 0.050
O 0.290 0.710 0.412
O 0.290 0.261 0.550
O 0.739 0.710 0.550
O 0.710 0.290 0.912
```

Entry from the Materials Project: an optimized crystal structure of Dy2As7Rh12 (PBE). Values from VASP.

Summary:
Its formation energy is -0.691 eV per atom. The density comes out at 10.232 g cm⁻³. Its crystal system is trigonal. The value obtained for the total energy is -6.891 eV/atom.

Geometry as Quantum ESPRESSO input:
```
&SYSTEM
  ibrav = 0, nat = 21, ntyp = 3
/
ATOMIC_SPECIES
Dy 162.50 Dy.upf
As 74.92 As.upf
Rh 102.91 Rh.upf
CELL_PARAMETERS angstrom
4.988 -8.639 0.000
4.988 8.639 0.000
0.000 0.000 3.925
ATOMIC_POSITIONS crystal
Dy 0.333 0.667 0.749
Dy 0.667 0.333 0.251
As 0.000 0.000 0.586
As 0.880 0.593 0.752
As 0.407 0.287 0.752
As 0.713 0.120 0.752
As 0.117 0.405 0.250
As 0.595 0.712 0.250
As 0.288 0.883 0.250
Rh 0.618 0.552 0.751
Rh 0.448 0.066 0.751
Rh 0.934 0.382 0.751
Rh 0.382 0.449 0.251
Rh 0.551 0.933 0.251
Rh 0.067 0.618 0.251
Rh 0.116 0.847 0.752
Rh 0.153 0.269 0.752
Rh 0.731 0.884 0.752
Rh 0.887 0.146 0.251
Rh 0.854 0.741 0.251
Rh 0.259 0.113 0.251
```

Entry from the Materials Project: an optimized crystal structure of LiCaH3 (PBE). Values from VASP.

Summary:
=====

### Wanted
Echo every line earlier on that contains the word "CELL_PARAMETERS".

### Result
CELL_PARAMETERS angstrom
CELL_PARAMETERS angstrom